
Joystiq Review: Bionic Commando (single-player)

It figures. Right after I reinvent the face of modern games criticism by deciding not to finish a game I hated, a title comes along that really does get better in its second half: Bionic Commando is a pretty good game, but you'd be hard-pressed to tell from the first few hours.

Make no mistake, I'm not talking about the level of disdain I had for Velvet Assasin. I never really considered giving up on this rethinking of the 8-bit classic. But in Bionic Commando's opening hours, it was hard to stop wondering where Capcom had gone wrong.

You know the drill, right? Titular soldier Nathan Spencer is reactivated for duty after a long incarceration to halt a new threat after a cataclysmic terrorist attack. At his disposal are a bevy of guns, grenades and (most importantly) his giant, robotic arm.

That arm is clearly what sets the IP apart from the pack and developer GRIN and producer Ben Judd have clearly put the lion's share of their work into making it fun and it is ... eventually.

Swinging through the ruins of Ascension City is not as intuitive as one might hope, as you need to target the object you want to grapple on to as you swing. You'll also have to contend with learning how far your arm can extend (usually not as far as you hope) and the precise timing required to get the full speed after your swing. It's not that hard to understand the basic mechanics, but it took a while before I could swing without dying and really enjoy myself. It's not so much a learning curve as a fun curve.

Once you "get it" the effect is magical, with Spencer hurtling over vast stretches of bombed-out terrain, always seeming to be millimeters or milliseconds away from certain death. The only bummer is the artificial limitation of radiation that quickly kills you off if you stray into an area you weren't meant to go. Knowing that certain death is one bad swing away is a frustrating deterrent to exploration.

Your arm can also wreak some serious havoc on enemies, but it's a while before you get the really impressive abilities (e.g., throwing cars at dudes, throwing dudes at other dudes, etc.). Once you do, it's a thrill, with all the bad guys (and robots) being perfectly designed for the game's unique combat. But, again, it takes a while to get there. It's worsened by the early weapons, which are either underpowered or far too tough to find ammo for.

The waiting for the good stuff isn't made any easier by the game's thin plot or its main character, a stupid, awful, cornrows-clad anti-anti-anti-hero who proclaims stupid, awful things at every opportunity ("Nailed ya!" being a notable example).

_The entry is interrupted by records of molecules_
/*
61
Properties=species:S:1:pos:R:3:nbo_charge:R:1 method="wB97M-V/def2-TZVPD" multiplicity=1 energy_ev=-163848.834 max_force_ev_per_a=1.95 charge=-2 de_lowest_ev=2.449
Rh -0.4301 0.6212 1.1705 0.709
N -0.0857 -3.4872 -0.6460 -0.750
C 0.1810 -3.9441 0.8172 -0.607
C 0.6490 -5.3855 0.9512 -0.649
P -1.5422 -3.6572 1.4823 2.356
O -2.2613 -4.8003 0.4850 -1.061
O -1.8019 -4.0798 2.8692 -1.113
O -1.8513 -2.3311 0.8427 -1.146
P 1.5410 -2.7418 1.3400 2.382
O 2.6293 -3.2798 0.1730 -1.065
O 2.1374 -3.0675 2.6479 -1.119
O 1.1789 -1.3734 0.8413 -1.194
H -0.5396 -4.2177 -1.1864 0.414
H 0.7569 -3.1310 -1.0879 0.433
H -0.7971 -2.7071 -0.4585 0.502
H -0.1107 -6.0800 0.5875 0.212
H 0.8135 -5.5788 2.0142 0.260
H 1.5900 -5.5535 0.4244 0.205
H -2.8826 -5.2733 1.0678 0.498
H 3.3729 -3.6334 0.6950 0.498
S -2.8574 1.8634 5.0930 -0.788
As -0.9510 1.6740 4.1811 0.977
S -0.4905 -0.2816 3.3282 -0.444
S -0.9311 2.7102 2.2400 -0.491
S 0.5860 2.4416 5.4377 -0.810
C -2.6089 3.0522 -0.7097 -0.638
C -2.8103 1.5332 -0.6602 0.249
C -3.3344 1.0955 -2.0285 -0.608
C -3.8484 1.1956 0.4181 -0.650
O -1.6251 0.8197 -0.4525 -0.834
H -3.5541 3.5678 -0.9255 0.187
H -1.8803 3.3050 -1.4948 0.177
H -2.2238 3.4069 0.2425 0.238
H -4.2557 1.6323 -2.2822 0.184
H -3.5320 0.0178 -2.0236 0.207
H -2.5765 1.3064 -2.7934 0.188
H -4.8366 1.6097 0.1775 0.177
H -3.5228 1.5938 1.3847 0.244
H -3.9164 0.1073 0.5090 0.223
C 0.9716 4.1181 -0.2434 -0.618
C 2.0461 3.0315 -0.1898 -0.733
P 1.4060 1.3158 -0.1616 1.198
C 2.9441 0.3209 -0.2573 -0.734
C 4.1841 0.9820 -0.8593 -0.612
C 0.7389 1.1581 -1.8621 -0.755
C 1.6566 1.4247 -3.0538 -0.612
H 1.4300 5.1079 -0.1694 0.196
H 0.2713 4.0090 0.5783 0.258
H 0.4031 4.0726 -1.1795 0.195
H 2.6373 3.1424 0.7254 0.239
H 2.7181 3.1235 -1.0431 0.209
H 2.6716 -0.5819 -0.8024 0.249
H 3.1610 -0.0099 0.7585 0.264
H 4.0233 1.3428 -1.8751 0.196
H 4.9899 0.2461 -0.8899 0.205
H 4.5279 1.8215 -0.2511 0.204
H -0.1368 1.8037 -1.8758 0.267
H 0.3290 0.1461 -1.9041 0.243
H 2.1372 2.4065 -2.9934 0.193
H 1.0723 1.4030 -3.9764 0.201
H 2.4391 0.6665 -3.1465 0.194

----------

This record from OMol25 describes the ion CH6NOS with charge +1 in a non-equilibrium geometry. The level of theory is ωB97M-V with the def2-TZVPD basis set.

Geometry as XYZ:
```
10
Properties=species:S:1:pos:R:3:forces:R:3
N -0.87676 0.19957 -0.31150 -2.255 -0.949 0.770
C -0.17966 -1.00253 0.33265 0.335 1.670 1.414
S 1.65350 -0.56169 0.04948 -0.716 -1.171 0.170
O 1.38637 1.07669 0.14691 0.666 1.153 0.214
H -1.65760 0.45027 0.31842 0.364 0.059 -0.401
H -1.32295 0.15077 -1.26027 1.170 -0.299 0.792
H -0.12990 0.90033 -0.18006 0.017 1.107 -0.718
H -0.38088 -1.91296 -0.22972 -0.112 -0.055 0.565
H -0.51370 -0.92648 1.50680 1.047 -0.706 -3.091
H 2.02158 1.62602 -0.37271 -0.515 -0.809 0.286
```
Positions in Å, forces in eV/Å.

Results
Molecular weight (g/mol): 80.1
Relative energy (zero: lowest compared OMol25 entry of this formula, charge and spin) (kcal/mol): 28.5
Spin multiplicity: 1
Energy (eV): -15498.6660
F_max (eV/Å): 3.3
*/
_The records of molecules stop here_

The best thing about the game's introductory period are the tiny challenges throughout which offer upgrades for completing tasks like killing four enemies with one grenade. They're not only nice carrots, they help to teach the habits that will keep you alive as the difficulty increases.

About halfway through, the game really hits its stride. I started to figure out how to swing well, both for locomotion and to make combat easier and more exciting. There were some excellent set pieces that were really thrilling to battle in, like the gigantic greenhouse that combined perilous drops and ample space for gunfights. And, it's hard to deny the primal, universal joy of killing a guy by throwing a car at him.

I'd also be remiss if I didn't mention the game's soaring, orchestral soundtrack, which is always more grand and heroic than the neanderthal of a lead character deserves.

By the time the end credits roll, Bionic Commando is an enjoyable, fully-grown action game with a fresh mechanic provided by the bionic arm. I just wish it was able to get past its awkward stage a little bit sooner.